Exercise.
Filter the calculation results below: keep the lines with the word "Lorentz-polarization", please.
Contents.
Structure and computed X-ray diffraction stick pattern of Sm3CuGeS7 (DFT lattice parameters and positions (PBE); a wavelength of 1.5418 Å).
Kinematic intensities with the Lorentz-polarization factor, no thermal factor.

Largest 8 diffraction maxima, by angle, 2θ = 10–80°:
h k l, Position (°2θ), d [Å], I_rel
1 1 1, 23.27, 3.823, 28
2 0 1, 25.44, 3.501, 100
0 0 2, 30.44, 2.936, 26
2 2 0, 35.66, 2.518, 46
3 1 0, 37.17, 2.419, 34
1 3 1, 40.32, 2.237, 30
2 1 2, 41.17, 2.193, 37
2 2 2, 47.58, 1.911, 25

Atomic structure:
a = 10.0713 Å, b = 10.0713 Å, c = 5.8728 Å
α = 90.00°, β = 90.00°, γ = 120.00°
Space group P6_3 (No. 173)
Asymmetric unit:
Sm 0.1295 0.7729 0.0000 [6 per cell]
Cu 0.0000 0.0000 0.4446 [2 per cell]
Ge 0.3333 0.6667 0.5839 [2 per cell]
S 0.0945 0.8392 0.4679 [6 per cell]
S 0.1017 0.5194 0.7417 [6 per cell]
S 0.3333 0.6667 0.2086 [2 per cell]

=====

Starting from a cell relaxed with GGA-PBE, the X-ray diffraction stick pattern of NpMnAlH6 was computed for Cu Kα X-rays.
Kinematic intensities with the Lorentz-polarization factor, no thermal factor.

Atomic structure:
```
data_NpMnAlH6
_cell_length_a 4.3300
_cell_length_b 4.3300
_cell_length_c 4.3524
_cell_angle_alpha 90.00
_cell_angle_beta 90.00
_cell_angle_gamma 120.00
_space_group_name_H-M_alt 'P -6 m 2'
_space_group_IT_number 187
_space_group_name_Hall 'P -6 2'
loop_
_atom_site_label
_atom_site_fract_x
_atom_site_fract_y
_atom_site_fract_z
Np1 0.0000 0.0000 0.0000
Worked solution.
Kinematic intensities with the Lorentz-polarization factor, no thermal factor.
Kinematic intensities with the Lorentz-polarization factor, no thermal factor.